- 3
Ability to resize images in Fototoon
#1551 opened by VishnuVardhanBR - 8
- 3
- 4
Welcome message not displayed in Write activity
#1617 opened by llaske - 12
Missing flag handling in ColorMyWorld
#1603 opened by llaske - 10
[v2] Listview lines spacing/padding is wrong
#1650 opened by llaske - 2
Adding more colour choices to Gridpaint Activity
#1671 opened by Niyatizzz - 4
Improve Visibility of Final Score Display in SprintMath by Changing Font Color
#1668 opened by SnehalSrivastava27 - 3
- 6
Alignment issue in Abacus
#1607 opened by VishnuVardhanBR - 0
Adding to a search bar to Sugarizer Activities page
#1670 opened by Niyatizzz - 4
- 8
- 4
Hover effect over story books
#1665 opened by Monu2114 - 3
- 2
Most Art4apps video are no longer availabe
#1660 opened by llaske - 0
[v2] Hidden reinit feature in settings
#1649 opened by llaske - 5
- 0
[v2] Localization failed in activities in file:/// mode
#1639 opened by llaske - 0
[v2] Missing localization in first screen
#1638 opened by llaske - 1
[v2] Unit testing not compatible with node v18+
#1625 opened by llaske - 1
- 1
Blank screen on iOS when opening a PDF
#1618 opened by llaske - 4
[v2] Password section - Empty Password Works
#1594 opened by Vishalk91-4 - 3
Localization error in FoodChain
#1608 opened by VishnuVardhanBR - 2
Undismissable palletes in Dollar street
#1605 opened by VishnuVardhanBR - 2
Multiple loading notifications
#1606 opened by VishnuVardhanBR - 7
There ought to be a zoom-in and zoom-out button within the "colorMyWorld" activity.
#1593 opened by d1vyanshu-kumar - 2
Gear ~ unexpected ui of Play toolbar icon.
#1600 opened by hharshas - 2
Ability to increase the downward speed of the ball in the Fraction Bounce Activity
#1591 opened by SamarthBagga - 2
Update WebL10n to i18next in tutorials
#1571 opened by VishnuVardhanBR - 1
[v2] Activities poup has unwished empty section
#1588 opened by llaske - 4
Fotoon globe also get deleted with the deletion of image
#1597 opened by hharshas - 2
- 1
• Materials data that have nothing to do with the entry:
********
# 1
# Y4Sc5

Y4Sc5 after structural relaxation (GGA-PBE, Alexandria).

Output
energy relative to the elements: 0.061 eV/atom
ΔE to the lowest computed polymorph: 0.0 meV/atom
spin magnetization: 0.00 μB/cell

```
data_Y4Sc5
_chemical_formula_sum 'Y8 Sc10'
_space_group_name_H-M_alt 'I 4/m m m'
_space_group_IT_number 139
_space_group_name_Hall '-I 4 2'
_cell_length_a 10.178
_cell_length_b 10.178
_cell_length_c 4.838
_cell_angle_alpha 90.00
_cell_angle_beta 90.00
_cell_angle_gamma 90.00
loop_
_atom_site_label
_atom_site_type_symbol
_atom_site_fract_x
_atom_site_fract_y
_atom_site_fract_z
_atom_site_occupancy
Y1 Y 0.000 0.324 0.000 1
Sc1 Sc 0.000 0.000 0.000 1
Sc2 Sc 0.163 0.163 0.500 1
```


# 2
# Pm2PrSm3Y6

Pm2PrSm3Y6 after structural relaxation (GGA-PBE, Alexandria).

Output
energy relative to the elements: 0.011 eV/atom
spin magnetization: 0.00 μB/cell

```
data_Pm2PrSm3Y6
_chemical_formula_sum 'Pm4 Pr2 Sm6 Y12'
_space_group_name_H-M_alt 'C 1 2/m 1'
_space_group_IT_number 12
_space_group_name_Hall '-C 2y'
_cell_length_a 6.267
_cell_length_b 10.850
_cell_length_c 11.880
_cell_angle_alpha 90.00
_cell_angle_beta 100.08
_cell_angle_gamma 90.00
loop_
_atom_site_label
_atom_site_type_symbol
_atom_site_fract_x
_atom_site_fract_y
_atom_site_fract_z
_atom_site_occupancy
Pm1 Pm 0.000 0.167 0.000 1
Pr1 Pr 0.000 0.500 0.000 1
Sm1 Sm 0.000 0.000 0.500 1
Sm2 Sm 0.000 0.333 0.500 1
Y1 Y 0.249 0.167 0.749 1
Y2 Y 0.250 0.000 0.251 1
```


# 3
# KNa2SnF8

KNa2SnF8 after structural relaxation (GGA-PBE, Alexandria).

Output
E_form (uncorrected): -2.50 eV/atom
spin magnetization: 1.12 μB/cell

```
data_KNa2SnF8
_chemical_formula_sum 'K1 Na2 Sn1 F8'
_space_group_name_H-M_alt 'P -1'
_space_group_IT_number 2
_space_group_name_Hall '-P 1'
_cell_length_a 5.017
_cell_length_b 5.196
_cell_length_c 7.624
_cell_angle_alpha 90.07
_cell_angle_beta 90.18
_cell_angle_gamma 90.43
loop_
_atom_site_label
_atom_site_type_symbol
_atom_site_fract_x
_atom_site_fract_y
_atom_site_fract_z
_atom_site_occupancy
K1 K 0.000 0.000 0.000 1
Na1 Na 0.500 0.500 0.282 1
Sn1 Sn 0.000 0.000 0.500 1
F1 F 0.210 0.835 0.307 1
F2 F 0.212 0.837 0.694 1
F3 F 0.255 0.300 0.500 1
F4 F 0.314 0.435 0.000 1
```


# 4
# Pa2Si5Ru

Pa2Si5Ru after structural relaxation (GGA-PBE, Alexandria).

Output
E_form (uncorrected): -0.47 eV/atom
spin magnetization: 0.00 μB/cell

```
data_Pa2Si5Ru
_chemical_formula_sum 'Pa4 Si10 Ru2'
_space_group_name_H-M_alt 'I 4 m m'
_space_group_IT_number 107
_space_group_name_Hall 'I 4 -2'
_cell_length_a 5.854
_cell_length_b 5.854
_cell_length_c 8.437
_cell_angle_alpha 90.00
_cell_angle_beta 90.00
_cell_angle_gamma 90.00
loop_
_atom_site_label
_atom_site_type_symbol
_atom_site_fract_x
_atom_site_fract_y
_atom_site_fract_z
_atom_site_occupancy
Pa1 Pa 0.000 0.500 0.000 1
Si1 Si 0.000 0.000 0.039 1
Si2 Si 0.212 0.212 0.258 1
Ru1 Ru 0.000 0.000 0.764 1
```


# 5
# InGe3Se

InGe3Se after structural relaxation (GGA-PBE, Alexandria).

Output
E_form (uncorrected): 0.87 eV/atom
********
Undeletable text in FotoToon
#1549 opened by VishnuVardhanBR - 2
In Tank Operation the defeat music persists even after returning to a previous screen.
#1553 opened by d1vyanshu-kumar - 4
Blockrain ~ Game can start before pressing play button
#1563 opened by hharshas - 1
[v2] Button alignment issue
#1574 opened by Vishalk91-4 - 2
- 2
Moon Activity: fix css in chrome mobile version
#1576 opened by Thund3rHawk - 2
Set stricter zoom limits to 'Color my world'.
#1572 opened by DarkFalc0n - 2
Clock Activity ~ In set-time-Game mode Improvement
#1570 opened by hharshas - 5
Dismissal of text box in Fototoon
#1550 opened by VishnuVardhanBR - 3
After pausing the tutorial and resuming it, it restarts from the beginning instead of continuing from the section where we left off.
#1557 opened by d1vyanshu-kumar - 1
In the title box, the text overflows the container. We need to either set a character limit or incorporate a slider within the box
#1565 opened by d1vyanshu-kumar - 4
[v2] Language Settings: En cannot be selected
#1546 opened by Vishalk91-4 - 1
- 3
One Block is missing in a 5 * 5 grid
#1554 opened by d1vyanshu-kumar - 4
right Text-Box is not movable or not fill the empty space cause by left one.
#1544 opened by d1vyanshu-kumar - 1
FotoToon enhancements
#1545 opened by VishnuVardhanBR